## Contents
/*
Here is 2 unconnected molecules or ions with the total composition C3H10O from the OMol25 dataset. Energies are from ωB97M-V/def2-TZVPD.

The geometry in XYZ format:
```
14
Properties=species:S:1:pos:R:3:forces:R:3:mulliken_charge:R:1
C 1.33124 -0.74981 -0.94454 0.87 0.05 -0.04 -0.81
C 0.31287 -0.11310 -1.89718 -0.05 -0.27 0.59 -0.73
H 2.06797 -1.37328 -1.45996 -0.31 -0.16 -0.19 0.33
H 1.98887 -0.00307 -0.47856 -0.54 -0.01 0.22 0.27
H 0.87522 -1.36642 -0.16785 0.02 0.12 -0.05 0.22
H -0.65663 -0.05047 -1.39516 0.07 0.24 -0.12 0.18
H 0.63625 0.89390 -2.16831 -0.18 -0.18 -0.27 0.23
H 0.14765 -0.74104 -2.77009 0.11 0.19 -0.19 0.31
C -1.20257 0.29183 1.68215 0.11 0.16 0.34 -0.35
O -0.42597 1.08522 2.57736 -0.30 0.14 -0.02 -0.52
H -1.00345 0.57825 0.65517 -0.19 0.04 -0.23 0.06
H -2.25617 0.35240 1.93003 -0.35 0.20 -0.18 0.31
H -0.95028 -0.75115 1.80519 0.42 -0.22 0.12 0.20
H -0.86501 1.94674 2.63176 0.30 -0.30 0.03 0.30
```
Forces are in eV/Å.

As for the relative energy (zero: lowest compared OMol25 entry of this formula, charge and spin): 65.4 kJ/mol. Its HOMO-LUMO gap is 11.5 eV. For the max |F|, the calculation gives 0.9 eV/A.
*/

## Work order
Could you reproduce the whole of the entries earlier on exactly?

## Done
Here is 2 unconnected molecules or ions with the total composition C3H10O from the OMol25 dataset. Energies are from ωB97M-V/def2-TZVPD.

The geometry in XYZ format:
```
14
Properties=species:S:1:pos:R:3:forces:R:3:mulliken_charge:R:1
C 1.33124 -0.74981 -0.94454 0.87 0.05 -0.04 -0.81
C 0.31287 -0.11310 -1.89718 -0.05 -0.27 0.59 -0.73
H 2.06797 -1.37328 -1.45996 -0.31 -0.16 -0.19 0.33
H 1.98887 -0.00307 -0.47856 -0.54 -0.01 0.22 0.27
H 0.87522 -1.36642 -0.16785 0.02 0.12 -0.05 0.22
H -0.65663 -0.05047 -1.39516 0.07 0.24 -0.12 0.18
H 0.63625 0.89390 -2.16831 -0.18 -0.18 -0.27 0.23
H 0.14765 -0.74104 -2.77009 0.11 0.19 -0.19 0.31
C -1.20257 0.29183 1.68215 0.11 0.16 0.34 -0.35
O -0.42597 1.08522 2.57736 -0.30 0.14 -0.02 -0.52
H -1.00345 0.57825 0.65517 -0.19 0.04 -0.23 0.06
H -2.25617 0.35240 1.93003 -0.35 0.20 -0.18 0.31
H -0.95028 -0.75115 1.80519 0.42 -0.22 0.12 0.20
H -0.86501 1.94674 2.63176 0.30 -0.30 0.03 0.30
```
Forces are in eV/Å.

As for the relative energy (zero: lowest compared OMol25 entry of this formula, charge and spin): 65.4 kJ/mol. Its HOMO-LUMO gap is 11.5 eV. For the max |F|, the calculation gives 0.9 eV/A.